My last dance recital was in 1990 and we performed two numbers. One was “You’re the One that I Want” from Grease. The other was to a contemporary piece, though I can’t recall which one. Our performance took place at Boise High School’s Auditorium, which was a marvelous, creaking place with backstage filled with dozens of girls in costumes, shrieking, giggling, being all sorts of excited. I did my best to ignore the dance teacher’s son, who was my age, but went to a different school and had started dance one year before me, so was in a different class. He had a harem of girls around him at all times, so I didn’t think I stood a chance, but it was kind of thrilling to have him around. This one was much more low-key. We did have outfits, black pants, colored shirts, jean jackets. This time our recital was at a community center gymnasium. We waited in the audience, and moved to the hallway when it came close to our time to perform. Most of the audience chatted throughout the performances, which drove me crazy, but I tried to roll with it. We were one of two adult groups to perform and our tap dance performance to Tracy Chapman’s “You’re the One” was well received. When I came home, Matt had roses for me.

== Calculated crystals, as found in the file ==
=====
# 1
Starting from a structure optimized by DFT (PBE), the powder X-ray diffraction pattern of RbLaCo2Cl8 was simulated for Cu Kα.
Neutral-atom scattering factors, no anomalous dispersion.

Largest 10 diffraction maxima, most intense first, 15 to 90 degrees two-theta:
hkl	two_theta	I_rel
1 0 4	19.7	100
2 -1 12	46.1	43
1 1 0	27.1	41
1 1 6	32.8	38
3 0 0	47.9	33
0 1 8	28.8	31
0 2 4	33.7	26
2 -1 3	28.6	25
3 -1 4	43.8	25
0 2 16	59.8	16

Structure:
a = 6.5806 Å, b = 6.5806 Å, c = 29.4929 Å
α = 90.00°, β = 90.00°, γ = 120.00°
Space group R-3 (No. 148, hexagonal axes)
Inequivalent atoms, fractional coordinates:
Rb (0.0000, 0.0000, 0.0000) x3
La (0.0000, 0.0000, 0.5000) x3
Co (0.0000, 0.0000, 0.2494) x6
Cl (0.0000, 0.0000, 0.3235) x6
Cl (0.0018, 0.3453, 0.4434) x18

# 2
Starting from a structure optimized by DFT (PBE), the powder X-ray diffraction pattern of PmTm4Ir4 was simulated for Cu Kα.
Neutral-atom scattering factors, no anomalous dispersion.

Largest 10 diffraction maxima, most intense first, 15 to 90 degrees two-theta:
hkl	two_theta	I_rel
1 3 0	31.8	100
1 0 2	33.6	52
3 0 2	44.5	36
4 2 0	45.6	29
3 2 2	49.3	28
1 2 2	39.4	23
2 3 1	40.0	23
4 1 1	45.1	16
1 0 1	18.7	15
2 0 0	20.0	13

Structure:
a = 8.8919 Å, b = 8.8919 Å, c = 5.5941 Å
α = 90.00°, β = 90.00°, γ = 90.00°
Space group P4_2/n (No. 86, origin choice 2)
Inequivalent atoms, fractional coordinates:
Pm (0.2500, 0.2500, 0.2500) x2
Tm (0.0850, 0.6546, 0.1433) x8
Ir (0.0355, 0.6145, 0.6458) x8

Q: Which formula does entry 2 have?
A: PmTm4Ir4

=====

No. 1
Simulated powder diffractogram
Compound: ZnGaNO
Radiation: Cu Kα X-rays
Structure: a structure optimized by DFT (PBE)

Crystal structure
```
ZnGaNO
1.0
6.538 0.000 0.000
-3.269 5.662 0.000
0.000 0.000 10.554
Zn Ga N O
8 8 8 8
direct
0.000 0.000 0.000
0.008 0.504 0.494
0.161 0.321 0.741
0.161 0.839 0.741
0.496 0.504 0.494
0.496 0.992 0.494
0.667 0.333 0.259
0.679 0.839 0.741
0.000 0.000 0.499
0.173 0.346 0.260
0.173 0.827 0.260
0.502 0.005 0.011
0.502 0.498 0.011
0.654 0.827 0.260
0.667 0.333 0.753
0.995 0.498 0.011
0.000 0.000 0.685
0.007 0.504 0.190
0.161 0.323 0.439
0.161 0.839 0.439
0.496 0.504 0.190
0.496 0.993 0.190
0.667 0.333 0.941
0.677 0.839 0.439
0.000 0.000 0.192
0.174 0.348 0.947
0.174 0.826 0.947
0.507 0.013 0.702
0.507 0.493 0.702
0.652 0.826 0.947
0.667 0.333 0.450
0.987 0.493 0.702
```

Principal peaks in the range 10 to 90 degrees two-theta, low angle first:
Position (°2θ)	Rel. int.
31.6	48
34.0	38
36.0	100
47.1	22
56.3	33
62.1	29
66.0	5
67.4	28
68.7	15
76.4	5
80.3	3
88.7	10

=====

No. 2
Simulated powder diffractogram
Compound: NaPrZrTiO6
Radiation: Cu Kα X-rays
Structure: a structure optimized by DFT (PBE)

Crystal structure
```
NaPrZrTiO6
1.0
0.000 4.025 4.025
4.025 0.000 4.025
4.025 4.025 0.000
Na Pr Zr Ti O
1 1 1 1 6
direct
0.000 0.000 0.000
0.500 0.500 0.500
0.750 0.750 0.750
0.250 0.250 0.250
0.008 0.008 0.492
0.008 0.492 0.008
0.008 0.492 0.492
0.492 0.008 0.008
0.492 0.008 0.492
=====
Is there a video of this performance? I wish I could have seen it live! I love the roses. What a sweet gesture! I know lots of ladies who think roses are played out, but they’re still one of my favorite flowers to receive as a gift.
Many people took video of this performance, but thankfully none that I know. So there isn’t video people who know me can access.
Were we friends when you had your first recital? I feel like I would have gone to that if I had had the chance. I really love that you are not only doing tap, but also still participating in recitals. I need to get my ballet on, but have not felt brave enough. I love that Matt got you roses for your performance. That is so sweet.
I took Jazz dance at the Kathy Lee School of Dance in sixth through ninth grades. I started the tenth grade year but the dance class and marching band and homework were too much, so I quit. I had kind of moved through that phase of my life at that point. There wasn’t a lot of crossover between girls in marching band and girls who took dance. Randi Hammers also took from Kathy Lee. She started a year before me, so she was in the class with the owner’s son.
I still have very fond memories of the owner’s daughter, Mandy Lee, who took after her more portly father rather than her dancer mother. She worked at the studio after school and kind of hung out and was very chatty and nice, always happy to see everyone. She was two or three years older than me and a very good role model. The last time I saw her was in high school or early college when I went to the fair. She was either at or manning the Pro-choice booth, so she was a good early feminist role model for me.